Thank you for your patience. I used the box only after having no luck with more complex forms. Useless as it is it was just to try and get at least 1 working scan. The box was only roughly 600x300x400 so lots of angles in view but no luck.
Anyway, I went back to a chair as you suggested, standard IKEA children chair, placed it on a table for easy access, cleared space so I could walk around it. lots of angles and openings. Using the Android app and a Samsung phone with settings:
Accuracy - standard
tracking - feature
object - general
texture: color
range - auto (300-1000)
RGB camera - auto
depth camera - tried auto and manual both
I think you can guess where this is going; after a number of tries, not even close to a successful scan. While taking care to carefully move as straight and vertical as possible at a constant distance the ‘not enough points’ error popped-up numerous times as well as the ‘tracking lost’ error. One time, with the top half of the back squarely and clearly in all frames the ‘not enough datapoints’ appeared to moment I pressed the start button. Unsurprisingly after postprocessing I see an ‘explosion’, not a chair.
I made a first successful scan of my eldest in 2012 and printed her on my self-assembled 3D printer. I am no wiz but am no complete full and generally get stuff to work. Both errors ‘freeze’ the capture process and even in the preview screen it is clear that there is no re-alignment. It seems that the scan has to be errorless but how to do that if a few cm deviation from the ‘green’ 300-400mm gives an error and the system cannot keep track of the shape?
I keep trying the handheld option with phone because that is the main reason for buying this, I hoped it would help me make scans of damage to structures and equipment I investigate for my work. If the video shows successful scans of near featureless car hoods and couches, how can I keep loosing tracking and having insufficient points with as diverse a set of objects as a person, chairs, stack of different sized, angled boxes, a simple box etc.? Are you sure this cannot be a hardware issue? One other thing I noted is that while steadily moving the camera down the centre pane seemed to ‘zoom in’, showing a smaller area than before, and subsequently loosing tracking).
# These crystal structures were left in the page by mistake
No. 1
LiMgTlAg: relaxed, GGA-PBE.

Calculated values
- Formation energy: -0.16 eV per atom

Cell lengths 6.818, 6.818, 6.818 Å; angles 90.00, 90.00, 90.00 degrees
Space group F-43m (No. 216)
Symmetry-distinct sites (fractional):
Li  0.000  0.000  0.000 x4
Mg  0.000  0.000  0.500 x4
Tl  0.250  0.250  0.250 x4
Ag  0.250  0.250  0.750 x4



No. 2
LiMgTlAg: relaxed, GGA-PBE.

Calculated values
- Formation energy: -0.18 eV per atom

Cell lengths 3.434, 3.434, 6.723 Å; angles 90.00, 90.00, 90.00 degrees
Space group P4mm (No. 99)
Symmetry-distinct sites (fractional):
Li  0.000  0.000  0.000 x1
Mg  0.000  0.000  0.448 x1
Tl  0.500  0.500  0.751 x1
Ag  0.500  0.500  0.216 x1



No. 3
Li2Mg3Tl3Ag: relaxed, GGA-PBE.

Calculated values
- Formation energy: -0.13 eV per atom

Cell lengths 8.2764, 8.2764, 3.2858 Å; angles 90.00, 90.00, 120.00 degrees
Space group P-62m (No. 189)
Symmetry-distinct sites (fractional):
Li  0.3333  0.6667  0.0000 x2
Mg  0.0000  0.7224  0.0000 x3
Tl  0.0000  0.3839  0.5000 x3
Ag  0.0000  0.0000  0.5000 x1



No. 4
Li5Mg2Tl2Ag: relaxed, GGA-PBE.

Calculated values
- Formation energy: -0.11 eV per atom

Cell lengths 11.066, 11.066, 3.377 Å; angles 90.00, 90.00, 90.00 degrees
Space group P4/mbm (No. 127)
Symmetry-distinct sites (fractional):
Li  0.000  0.500  0.000 x2
Li  0.032  0.187  0.000 x8
Mg  0.166  0.666  0.500 x4
Tl  0.142  0.358  0.500 x4
Ag  0.000  0.000  0.500 x2



No. 5
LiTmMg2Ag4: relaxed, GGA-PBE.

Calculated values
- Formation energy: -0.25 eV per atom

Cell lengths 4.7735, 4.7735, 23.5041 Å; angles 90.00, 90.00, 120.00 degrees
Space group R-3m (No. 166, hexagonal axes)
Symmetry-distinct sites (fractional):
Li  0.0000  0.0000  0.0000 x3
Tm  0.0000  0.0000  0.5000 x3
Mg  0.0000  0.0000  0.2520 x6
Ag  0.0000  0.0000  0.1157 x6
Ag  0.0000  0.0000  0.3722 x6



No. 6
LiTmMgAg: relaxed, GGA-PBE.

Calculated values
- Formation energy: -0.15 eV per atom

Cell lengths 6.934, 6.934, 6.934 Å; angles 90.00, 90.00, 90.00 degrees
Space group F-43m (No. 216)
Symmetry-distinct sites (fractional):
Li  0.000  0.000  0.000 x4
Tm  0.250  0.250  0.250 x4
Mg  0.250  0.250  0.750 x4
Ag  0.000  0.000  0.500 x4



No. 7
Li2YMg2Ag2: relaxed, GGA-PBE.

Calculated values
- Formation energy: -0.20 eV per atom

Cell lengths 8.387, 4.813, 7.712 Å; angles 90.00, 110.89, 90.00 degrees
Space group C2/m (No. 12)
Symmetry-distinct sites (fractional):
Li  0.150  0.000  0.450 x4
Y  0.000  0.000  0.000 x2
Mg  0.076  0.500  0.729 x4
Ag  0.229  0.500  0.187 x4



No. 8
LiYMgAg: relaxed, GGA-PBE.

Calculated values
- Formation energy: -0.17 eV per atom

Cell lengths 7.005, 7.005, 7.005 Å; angles 90.00, 90.00, 90.00 degrees
Space group F-43m (No. 216)
Symmetry-distinct sites (fractional):
Li  0.000  0.000  0.000 x4
Y  0.250  0.250  0.750 x4
Mg  0.250  0.250  0.250 x4
Ag  0.000  0.000  0.500 x4



Calculated total magnetic moment (μB/f.u.), listed in the same order as above: 0.00 0.00 0.00 0.00 0.00 0.02 0.00 0.47


CuHg2Sb: optimized geometry, PBE-GGA.
# Here the page continues
After writing the above I thought I should also try your 2 pillow suggestion, just to try out everything. 2 sizes of pillow, one off-white and 1 red, probably the worst trial, the screen was continuously flipping between too few points and tracking lost.
Lastly gave a backpack a go, dark blue, lots of pockets etc. sticking out. The first ‘bottom to top’ motion seemed fine and even processed later but the moment I shifted slightly right after reaching the top tracking was first lost and the screen subsequently froze on ‘too few datapoints’.
Maybe if someone at revopoint can do an intro video with an everyday household thing, showing exactly which settings they use and filming both the person scanning and what the screen sees it would help people like me figure out what might be going wrong. Otherwise the charger and tripod may still come in handy (but a bit expensive if they are the only working parts) because it looks to me like the actual scanner, or the software, are a far cry from what the video promised.